Input.
76
Properties=species:S:1:pos:R:3 method="wB97M-V/def2-TZVPD" total_charge=+1 e_tot_ha=-2580.71014 multiplicity=1
Au -0.514 -0.762 -0.878
O -2.238 -1.658 0.308
N -1.936 -2.474 1.279
C -2.879 -2.683 2.219
C -2.670 -3.515 3.285
C -1.441 -4.162 3.412
C -0.485 -3.945 2.454
C -0.725 -3.095 1.367
S 0.497 -2.843 0.199
H -3.809 -2.163 2.048
H -3.459 -3.660 4.004
H -1.248 -4.819 4.243
H 0.477 -4.426 2.499
C -0.289 -2.489 -3.708
C 1.141 -2.024 -3.948
C 1.433 -2.137 -5.446
C 1.330 -0.572 -3.492
C 2.690 0.023 -3.888
O 3.088 0.769 -2.744
C 2.301 0.413 -1.724
N 1.334 -0.378 -2.041
C 2.717 0.974 -0.433
C 3.984 1.582 -0.458
C 4.536 2.199 0.644
C 3.858 2.169 1.850
C 2.639 1.526 1.917
C 2.024 0.969 0.793
P 0.352 0.329 1.134
C 0.566 -0.533 2.705
C 1.715 -1.294 2.922
C 1.864 -1.981 4.108
C 0.867 -1.931 5.072
C -0.289 -1.205 4.839
C -0.455 -0.514 3.653
C -0.730 1.736 1.558
C -0.361 2.677 2.520
C -1.222 3.712 2.831
C -2.441 3.835 2.182
C -2.827 2.880 1.257
C -1.985 1.821 0.965
H -0.396 -3.532 -3.992
H -0.980 -1.897 -4.303
H -0.569 -2.389 -2.657
H 1.835 -2.658 -3.386
H 0.799 -1.450 -6.002
H 1.214 -3.147 -5.781
H 2.468 -1.920 -5.692
H 0.502 0.026 -3.896
H 2.656 0.687 -4.749
H 3.438 -0.759 -4.055
H 4.544 1.570 -1.380
H 5.494 2.687 0.564
H 4.270 2.637 2.729
H 2.152 1.445 2.877
H 2.481 -1.333 2.160
H 2.762 -2.550 4.283
H 0.993 -2.461 6.003
H -1.060 -1.165 5.592
H -1.357 0.054 3.468
H 0.579 2.608 3.043
H -0.943 4.424 3.594
H -3.093 4.662 2.413
H -3.785 2.952 0.766
H -2.310 1.047 0.288
N -4.111 5.065 -3.712
C -3.535 4.141 -3.357
C -2.827 3.001 -2.905
C -1.491 3.115 -2.525
C -0.822 2.003 -2.046
C -1.471 0.783 -1.952
C -2.789 0.661 -2.356
C -3.473 1.770 -2.827
H -0.990 4.069 -2.583
H 0.209 2.105 -1.728
H -3.297 -0.288 -2.288
H -4.509 1.685 -3.117

---

81
Properties=species:S:1:pos:R:3 method="wB97M-V/def2-TZVPD" total_charge=+1 e_tot_ha=-3916.07083 multiplicity=1
Sc 2.071 -1.462 0.113
C -7.814 8.351 -0.332
O -7.799 7.216 0.522
C -6.744 6.379 0.442
C -6.781 5.280 1.303
C -5.751 4.367 1.295
C -4.662 4.525 0.434
C -4.636 5.622 -0.418
C -5.666 6.550 -0.423
C -3.548 3.575 0.396
N -2.493 3.674 -0.383
C -1.728 2.580 -0.085
C -2.323 1.802 0.877
N -3.505 2.443 1.168
C -1.742 0.599 1.378
C -2.291 -0.234 2.364
C -1.619 -1.363 2.757
C -0.398 -1.664 2.148
N 0.134 -0.895 1.213
C -0.503 0.230 0.825
C 0.148 1.048 -0.186
N 1.348 0.625 -0.652
C 1.958 1.356 -1.569
C 1.423 2.545 -2.078
C 0.209 2.980 -1.617
C -0.458 2.222 -0.644
H -8.736 8.880 -0.107
H -7.813 8.052 -1.382
H -6.962 9.004 -0.131
H -7.628 5.168 1.965
H -5.812 3.528 1.978
H -3.795 5.747 -1.086
H -5.617 7.391 -1.097
H -4.212 2.154 1.819
H -3.242 0.014 2.819
H -2.015 -2.022 3.515
H 0.157 -2.555 2.414
H 2.909 0.985 -1.927
H 1.975 3.095 -2.827
H -0.247 3.892 -1.979
C 5.556 -0.377 -1.257
C 4.596 -1.113 -2.143
C 4.885 -1.413 -3.457
C 3.940 -2.123 -4.204
C 2.744 -2.512 -3.652
C 2.488 -2.190 -2.306
N 3.432 -1.505 -1.599
N 1.365 -2.468 -1.585
Si 0.417 -3.930 -1.785
C -0.733 -3.844 -3.253
C 1.581 -5.377 -1.942
C -0.616 -4.113 -0.243
H 6.377 -1.032 -0.958
H 5.061 -0.018 -0.356
H 5.996 0.474 -1.777
H 5.825 -1.104 -3.891
H 4.151 -2.364 -5.238
H 2.000 -3.040 -4.230
H -0.205 -3.771 -4.205
H -1.412 -2.992 -3.181
H -1.341 -4.752 -3.292
H 2.096 -5.397 -2.904
H 1.029 -6.316 -1.848
H 2.335 -5.356 -1.151
H -1.270 -3.249 -0.098
H 0.022 -4.234 0.636
H -1.250 -4.999 -0.310
Cl 5.595 -4.087 6.149
C 4.702 -3.730 4.711
C 4.073 -4.774 4.023
C 3.353 -4.532 2.878
Cl 2.573 -5.832 2.056
C 3.231 -3.227 2.354
O 2.555 -3.009 1.265
C 3.871 -2.186 3.070
C 3.803 -0.825 2.628
O 3.225 -0.414 1.610
C 4.605 -2.447 4.246
H 4.152 -5.786 4.398
H 4.318 -0.083 3.251
H 5.087 -1.634 4.772

---

100
Properties=species:S:1:pos:R:3 method="wB97M-V/def2-TZVPD" total_charge=0 e_tot_ha=-4590.86803 smiles="C[C@@H](I)Cc1cccc2c1C(=O)c1cccc(CC(=O)N(C)C)c1C2=O.FC(F)C(F)(F)COC(F)(F)C(F)F.FC(F)C(F)(F)COC(F)(F)C(F)F.FC(F)C(F)(F)COC(F)(F)C(F)F" multiplicity=1
C 6.666 3.092 1.528
C 5.151 2.432 1.272
I 4.031 3.862 0.005
C 5.270 0.933 0.571
C 3.842 0.408 -0.088
Activity.
Now print the data above from the first line to the one with "total_charge=0 e_tot_ha=-4590.86803" without additions.
Here it is.
76
Properties=species:S:1:pos:R:3 method="wB97M-V/def2-TZVPD" total_charge=+1 e_tot_ha=-2580.71014 multiplicity=1
Au -0.514 -0.762 -0.878
O -2.238 -1.658 0.308
N -1.936 -2.474 1.279
C -2.879 -2.683 2.219
C -2.670 -3.515 3.285
C -1.441 -4.162 3.412
C -0.485 -3.945 2.454
C -0.725 -3.095 1.367
S 0.497 -2.843 0.199
H -3.809 -2.163 2.048
H -3.459 -3.660 4.004
H -1.248 -4.819 4.243
H 0.477 -4.426 2.499
C -0.289 -2.489 -3.708
C 1.141 -2.024 -3.948
C 1.433 -2.137 -5.446
C 1.330 -0.572 -3.492
C 2.690 0.023 -3.888
O 3.088 0.769 -2.744
C 2.301 0.413 -1.724
N 1.334 -0.378 -2.041
C 2.717 0.974 -0.433
C 3.984 1.582 -0.458
C 4.536 2.199 0.644
C 3.858 2.169 1.850
C 2.639 1.526 1.917
C 2.024 0.969 0.793
P 0.352 0.329 1.134
C 0.566 -0.533 2.705
C 1.715 -1.294 2.922
C 1.864 -1.981 4.108
C 0.867 -1.931 5.072
C -0.289 -1.205 4.839
C -0.455 -0.514 3.653
C -0.730 1.736 1.558
C -0.361 2.677 2.520
C -1.222 3.712 2.831
C -2.441 3.835 2.182
C -2.827 2.880 1.257
C -1.985 1.821 0.965
H -0.396 -3.532 -3.992
H -0.980 -1.897 -4.303
H -0.569 -2.389 -2.657
H 1.835 -2.658 -3.386
H 0.799 -1.450 -6.002
H 1.214 -3.147 -5.781
H 2.468 -1.920 -5.692
H 0.502 0.026 -3.896
H 2.656 0.687 -4.749
H 3.438 -0.759 -4.055
H 4.544 1.570 -1.380
H 5.494 2.687 0.564
H 4.270 2.637 2.729
H 2.152 1.445 2.877
H 2.481 -1.333 2.160
H 2.762 -2.550 4.283
H 0.993 -2.461 6.003
H -1.060 -1.165 5.592
H -1.357 0.054 3.468
H 0.579 2.608 3.043
H -0.943 4.424 3.594
H -3.093 4.662 2.413
H -3.785 2.952 0.766
H -2.310 1.047 0.288
N -4.111 5.065 -3.712
C -3.535 4.141 -3.357
C -2.827 3.001 -2.905
C -1.491 3.115 -2.525
C -0.822 2.003 -2.046
C -1.471 0.783 -1.952
C -2.789 0.661 -2.356
C -3.473 1.770 -2.827
H -0.990 4.069 -2.583
H 0.209 2.105 -1.728
H -3.297 -0.288 -2.288
H -4.509 1.685 -3.117

---

81
Properties=species:S:1:pos:R:3 method="wB97M-V/def2-TZVPD" total_charge=+1 e_tot_ha=-3916.07083 multiplicity=1
Sc 2.071 -1.462 0.113
C -7.814 8.351 -0.332
O -7.799 7.216 0.522
C -6.744 6.379 0.442
C -6.781 5.280 1.303
C -5.751 4.367 1.295
C -4.662 4.525 0.434
C -4.636 5.622 -0.418
C -5.666 6.550 -0.423
C -3.548 3.575 0.396
N -2.493 3.674 -0.383
C -1.728 2.580 -0.085
C -2.323 1.802 0.877
N -3.505 2.443 1.168
C -1.742 0.599 1.378
C -2.291 -0.234 2.364
C -1.619 -1.363 2.757
C -0.398 -1.664 2.148
N 0.134 -0.895 1.213
C -0.503 0.230 0.825
C 0.148 1.048 -0.186
N 1.348 0.625 -0.652
C 1.958 1.356 -1.569
C 1.423 2.545 -2.078
C 0.209 2.980 -1.617
C -0.458 2.222 -0.644
H -8.736 8.880 -0.107
H -7.813 8.052 -1.382
H -6.962 9.004 -0.131
H -7.628 5.168 1.965
H -5.812 3.528 1.978
H -3.795 5.747 -1.086
H -5.617 7.391 -1.097
H -4.212 2.154 1.819
H -3.242 0.014 2.819
H -2.015 -2.022 3.515
H 0.157 -2.555 2.414
H 2.909 0.985 -1.927
H 1.975 3.095 -2.827
H -0.247 3.892 -1.979
C 5.556 -0.377 -1.257
C 4.596 -1.113 -2.143
C 4.885 -1.413 -3.457
C 3.940 -2.123 -4.204
C 2.744 -2.512 -3.652
C 2.488 -2.190 -2.306
N 3.432 -1.505 -1.599
N 1.365 -2.468 -1.585
Si 0.417 -3.930 -1.785
C -0.733 -3.844 -3.253
C 1.581 -5.377 -1.942
C -0.616 -4.113 -0.243
H 6.377 -1.032 -0.958
H 5.061 -0.018 -0.356
H 5.996 0.474 -1.777
H 5.825 -1.104 -3.891
H 4.151 -2.364 -5.238
H 2.000 -3.040 -4.230
H -0.205 -3.771 -4.205
H -1.412 -2.992 -3.181
H -1.341 -4.752 -3.292
H 2.096 -5.397 -2.904
H 1.029 -6.316 -1.848
H 2.335 -5.356 -1.151
H -1.270 -3.249 -0.098
H 0.022 -4.234 0.636
H -1.250 -4.999 -0.310
Cl 5.595 -4.087 6.149
C 4.702 -3.730 4.711
C 4.073 -4.774 4.023
C 3.353 -4.532 2.878
Cl 2.573 -5.832 2.056
C 3.231 -3.227 2.354
O 2.555 -3.009 1.265
C 3.871 -2.186 3.070
C 3.803 -0.825 2.628
O 3.225 -0.414 1.610
C 4.605 -2.447 4.246
H 4.152 -5.786 4.398
H 4.318 -0.083 3.251
H 5.087 -1.634 4.772

---

100
Properties=species:S:1:pos:R:3 method="wB97M-V/def2-TZVPD" total_charge=0 e_tot_ha=-4590.86803 smiles="C[C@@H](I)Cc1cccc2c1C(=O)c1cccc(CC(=O)N(C)C)c1C2=O.FC(F)C(F)(F)COC(F)(F)C(F)F.FC(F)C(F)(F)COC(F)(F)C(F)F.FC(F)C(F)(F)COC(F)(F)C(F)F" multiplicity=1